# Work order
Your job: start at the top of the block further below and restate each line, ending with the one that has "0.16290 -0.23806".
# Contents
____________
No. 1
The following is a DFT calculation (ωB97M-V/def2-TZVPD) of an isolated molecule of C5H7FS at a distorted geometry.

```
14
Properties=species:S:1:pos:R:3:mulliken_charge:R:1
C 1.56824 0.05501 0.37692 0.337
C 0.63908 -1.17894 0.53504 -0.824
C -0.52618 -0.63646 -0.27608 -0.084
C -0.70461 0.65134 0.42080 0.043
C 0.60234 1.34324 0.10347 -0.913
H 2.16638 0.22866 1.29589 0.330
H 1.17847 -2.02090 0.12818 0.329
H 0.29746 -1.35202 1.56711 0.289
H -0.24145 -0.39375 -1.32615 0.192
H -0.79841 0.44224 1.52263 0.186
H 0.90844 2.18685 0.70097 0.300
H 0.73427 1.65934 -0.95140 0.290
F 2.40552 -0.13313 -0.70797 -0.331
S -2.21050 -0.05984 -0.22040 -0.145
```

**Multiplicity**: 1
**Molecular weight**: 118.176 u
**E**: -692.664907 Ha
**Relative energy (zero: lowest compared OMol25 entry of this formula, charge and spin)**: 52.3 kcal/mol

***

No. 2
The following is a DFT calculation (ωB97M-V/def2-TZVPD) of a cluster of 4 separate species, C4H18NO3 in total at a distorted geometry.

```
26
Properties=species:S:1:pos:R:3:mulliken_charge:R:1
C 1.43673 1.87395 -1.30869 -1.237
C 0.59989 0.62202 -1.07839 -0.326
N 1.21715 -0.29651 -0.08009 -0.019
C 1.31267 0.22733 1.32315 -0.382
C 1.87105 -0.90247 2.20662 -1.193
H 0.91086 2.49465 -2.03347 0.395
H 2.41364 1.63286 -1.72655 0.325
H 1.58086 2.49443 -0.42737 0.380
H -0.42809 0.88306 -0.83912 0.235
H 0.50490 0.04080 -1.99870 0.373
H 2.14981 -0.53821 -0.40898 0.403
H 0.68963 -1.19641 -0.06469 0.300
H 0.30776 0.46831 1.66439 0.314
H 1.89082 1.14217 1.32104 0.382
H 2.95971 -0.87302 2.21323 0.358
H 1.54771 -0.78829 3.24359 0.378
H 1.49627 -1.89049 1.94321 0.346
H -1.18710 -1.76901 0.44036 0.381
H -1.20098 -2.93527 -0.57878 0.282
O -0.61100 -2.38450 -0.07023 -0.683
H -3.57032 1.70927 -1.91474 0.311
H -3.84745 0.27963 -2.36880 0.298
O -3.39410 0.78535 -1.68267 -0.640
H -3.16682 -0.61985 1.44207 0.293
H -2.95346 0.05021 0.04576 0.342
O -2.53013 -0.51000 0.73786 -0.616
```

**Multiplicity**: 1
**Net charge**: +1
**Molecular weight**: 128.192 u
**E**: -443.467498 Ha
**Relative energy (zero: lowest compared OMol25 entry of this formula, charge and spin)**: 0.0 kcal/mol

***

No. 3
The following is a DFT calculation (ωB97M-V/def2-TZVPD) of a structure of composition C26H39IrN3O12P2 at a distorted geometry.

```
83
Properties=species:S:1:pos:R:3:mulliken_charge:R:1
Ir 0.16290 -0.23806 -0.03755 2.686
O -0.03941 -0.37572 1.99351 -0.439
N -0.74636 -1.26487 2.48724 -0.219
N -1.35511 -2.00714 1.56235 0.959
O -1.18712 -1.76118 0.32531 -0.626
C -2.19086 -3.04675 1.98671 0.552
C -2.85362 -3.80518 1.00909 -0.284
C -3.67656 -4.82581 1.41728 -0.650
C -3.83873 -5.09218 2.77991 -0.408
C -3.17992 -4.32912 3.74305 -0.656
C -2.35050 -3.30081 3.36324 -0.329
H -2.70424 -3.58021 -0.03624 0.468
H -4.19455 -5.42831 0.68475 0.414
H -4.47889 -5.90627 3.09252 0.417
H -3.31879 -4.54690 4.79241 0.417
H -1.83509 -2.69966 4.09637 0.463
C 2.77041 2.81412 -4.72441 -1.380
C 1.64174 1.87212 -5.07640 0.852
C 1.94717 0.99324 -6.26500 -1.491
O 1.41472 0.96930 -3.92301 -0.294
P 0.21367 1.09197 -2.95530 0.024
O 0.25509 -0.11242 -2.03772 -0.885
C 0.25126 2.66047 -2.09112 -0.374
P -1.07060 2.71047 -0.86720 0.233
O -1.03193 1.45806 -0.02530 -1.008
O -2.43025 2.81599 -1.59734 -0.027
C -2.94201 4.06923 -2.21107 0.680
C -3.50209 3.70436 -3.56490 -1.139
C -3.96596 4.66230 -1.27369 -1.494
O -0.93102 4.03514 -0.07820 -0.409
C -0.26412 4.32054 1.21373 0.497
C -1.06350 3.72870 2.35214 -1.176
C 1.18434 3.89026 1.19272 -1.182
O -1.10890 1.18082 -3.76844 0.425
C -1.79600 -0.04105 -4.25995 0.487
C -2.88839 -0.39762 -3.27895 -0.960
C -2.29649 0.26319 -5.65048 -1.375
H 2.98564 3.45863 -5.57566 0.446
H 3.66941 2.24657 -4.48246 0.336
H 2.52287 3.44726 -3.87107 0.267
H 0.71794 2.42873 -5.25819 0.241
H 2.83192 0.38836 -6.06550 0.350
H 2.13360 1.61378 -7.14046 0.428
H 1.11507 0.32351 -6.48226 0.324
H 0.12622 3.46890 -2.81522 0.779
H 1.21509 2.75601 -1.58679 0.208
H -2.10203 4.75912 -2.32633 0.349
H -4.40018 3.09540 -3.45298 0.316
H -2.76939 3.14730 -4.14749 0.076
____________
# Done
No. 1
The following is a DFT calculation (ωB97M-V/def2-TZVPD) of an isolated molecule of C5H7FS at a distorted geometry.

```
14
Properties=species:S:1:pos:R:3:mulliken_charge:R:1
C 1.56824 0.05501 0.37692 0.337
C 0.63908 -1.17894 0.53504 -0.824
C -0.52618 -0.63646 -0.27608 -0.084
C -0.70461 0.65134 0.42080 0.043
C 0.60234 1.34324 0.10347 -0.913
H 2.16638 0.22866 1.29589 0.330
H 1.17847 -2.02090 0.12818 0.329
H 0.29746 -1.35202 1.56711 0.289
H -0.24145 -0.39375 -1.32615 0.192
H -0.79841 0.44224 1.52263 0.186
H 0.90844 2.18685 0.70097 0.300
H 0.73427 1.65934 -0.95140 0.290
F 2.40552 -0.13313 -0.70797 -0.331
S -2.21050 -0.05984 -0.22040 -0.145
```

**Multiplicity**: 1
**Molecular weight**: 118.176 u
**E**: -692.664907 Ha
**Relative energy (zero: lowest compared OMol25 entry of this formula, charge and spin)**: 52.3 kcal/mol

***

No. 2
The following is a DFT calculation (ωB97M-V/def2-TZVPD) of a cluster of 4 separate species, C4H18NO3 in total at a distorted geometry.

```
26
Properties=species:S:1:pos:R:3:mulliken_charge:R:1
C 1.43673 1.87395 -1.30869 -1.237
C 0.59989 0.62202 -1.07839 -0.326
N 1.21715 -0.29651 -0.08009 -0.019
C 1.31267 0.22733 1.32315 -0.382
C 1.87105 -0.90247 2.20662 -1.193
H 0.91086 2.49465 -2.03347 0.395
H 2.41364 1.63286 -1.72655 0.325
H 1.58086 2.49443 -0.42737 0.380
H -0.42809 0.88306 -0.83912 0.235
H 0.50490 0.04080 -1.99870 0.373
H 2.14981 -0.53821 -0.40898 0.403
H 0.68963 -1.19641 -0.06469 0.300
H 0.30776 0.46831 1.66439 0.314
H 1.89082 1.14217 1.32104 0.382
H 2.95971 -0.87302 2.21323 0.358
H 1.54771 -0.78829 3.24359 0.378
H 1.49627 -1.89049 1.94321 0.346
H -1.18710 -1.76901 0.44036 0.381
H -1.20098 -2.93527 -0.57878 0.282
O -0.61100 -2.38450 -0.07023 -0.683
H -3.57032 1.70927 -1.91474 0.311
H -3.84745 0.27963 -2.36880 0.298
O -3.39410 0.78535 -1.68267 -0.640
H -3.16682 -0.61985 1.44207 0.293
H -2.95346 0.05021 0.04576 0.342
O -2.53013 -0.51000 0.73786 -0.616
```

**Multiplicity**: 1
**Net charge**: +1
**Molecular weight**: 128.192 u
**E**: -443.467498 Ha
**Relative energy (zero: lowest compared OMol25 entry of this formula, charge and spin)**: 0.0 kcal/mol

***

No. 3
The following is a DFT calculation (ωB97M-V/def2-TZVPD) of a structure of composition C26H39IrN3O12P2 at a distorted geometry.

```
83
Properties=species:S:1:pos:R:3:mulliken_charge:R:1
Ir 0.16290 -0.23806 -0.03755 2.686